Excerpt:
-- begin --
{"formula": "C5H8N2", "method": "ωB97M-V/def2-TZVPD", "de_lowest_kj_mol": 32.8, "charge": 0, "smiles": "Cn1cccc1N", "max_force_ev_per_a": 0.249, "homo_lumo_gap_ev": 8.91, "molar_mass_g_mol": 96.1, "e_tot_ha": -304.8230, "species": ["C", "N", "C", "C", "C", "C", "N", "H", "H", "H", "H", "H", "H", "H", "H"], "coordinates": [[-1.32520, -1.31738, 0.41514], [-0.12604, -0.54527, 0.17854], [1.15278, -1.01629, 0.30654], [2.02352, -0.01725, -0.04606], [1.24155, 1.11638, -0.39465], [-0.08006, 0.76202, -0.24649], [-1.28805, 1.46369, -0.47643], [-2.18560, -0.69763, 0.16119], [-1.33066, -2.21328, -0.21306], [-1.39284, -1.62203, 1.46444], [1.32887, -2.02749, 0.64908], [3.10280, -0.08736, -0.04442], [1.59458, 2.08669, -0.71942], [-1.49922, 2.09781, 0.28818], [-1.21644, 2.01740, -1.32258]], "forces_ev_per_a": [[-0.1, -0.1, 0.0], [0.0, 0.1, 0.0], [0.0, -0.1, 0.0], [0.1, 0.0, 0.0], [-0.1, 0.0, 0.0], [0.1, -0.1, 0.0], [0.1, 0.2, 0.0], [0.1, -0.1, 0.0], [0.0, 0.1, 0.1], [0.0, 0.1, -0.1], [0.0, 0.2, -0.1], [-0.2, 0.0, 0.0], [0.0, -0.1, 0.1], [0.0, -0.1, -0.1], [-0.1, -0.1, 0.1]]}

=====

{"formula": "C5H8N2", "method": "ωB97M-V/def2-TZVPD", "de_lowest_kj_mol": 319.2, "charge": 0, "smiles": "Cc1c[nH]c(N)c1", "max_force_ev_per_a": 2.354, "homo_lumo_gap_ev": 7.73, "molar_mass_g_mol": 96.1, "e_tot_ha": -304.7139, "species": ["C", "C", "C", "N", "C", "N", "C", "H", "H", "H", "H", "H", "H", "H", "H"], "coordinates": [[0.86056, -1.34229, -1.95678], [0.42079, -0.41012, -0.82611], [-0.11925, -0.99015, 0.27953], [-0.56407, -0.07595, 1.17288], [-0.47743, 1.22040, 0.81937], [-0.77239, 1.99085, 2.02630], [0.41952, 1.00159, -0.67047], [1.04743, -0.86766, -2.92429], [1.78066, -1.87875, -1.68429], [0.09979, -2.12104, -2.12138], [-0.38650, -2.01303, 0.42491], [-0.73277, -0.37917, 2.12300], [-1.24126, 2.88312, 2.09593], [-0.80084, 1.51280, 2.93566], [0.46577, 1.46941, -1.69428]], "forces_ev_per_a": [[0.0, 0.2, 0.0], [-0.3, -0.1, 0.5], [0.0, -0.7, 0.1], [0.0, -0.2, -0.3], [1.3, -1.0, -1.0], [0.8, 0.4, -0.9], [-1.8, 0.0, 1.5], [-0.1, 0.2, 0.2], [-0.2, 0.3, 0.0], [0.1, 0.3, 0.1], [0.2, -0.5, 0.2], [-0.4, 0.2, -0.2], [0.2, -0.3, -0.9], [0.3, 0.1, -1.1], [-0.3, 0.8, 1.8]]}
-- stop --
Request:
Retype only the lines earlier on with the word "de_lowest_kj_mol" in them, please.
Here it is:
{"formula": "C5H8N2", "method": "ωB97M-V/def2-TZVPD", "de_lowest_kj_mol": 32.8, "charge": 0, "smiles": "Cn1cccc1N", "max_force_ev_per_a": 0.249, "homo_lumo_gap_ev": 8.91, "molar_mass_g_mol": 96.1, "e_tot_ha": -304.8230, "species": ["C", "N", "C", "C", "C", "C", "N", "H", "H", "H", "H", "H", "H", "H", "H"], "coordinates": [[-1.32520, -1.31738, 0.41514], [-0.12604, -0.54527, 0.17854], [1.15278, -1.01629, 0.30654], [2.02352, -0.01725, -0.04606], [1.24155, 1.11638, -0.39465], [-0.08006, 0.76202, -0.24649], [-1.28805, 1.46369, -0.47643], [-2.18560, -0.69763, 0.16119], [-1.33066, -2.21328, -0.21306], [-1.39284, -1.62203, 1.46444], [1.32887, -2.02749, 0.64908], [3.10280, -0.08736, -0.04442], [1.59458, 2.08669, -0.71942], [-1.49922, 2.09781, 0.28818], [-1.21644, 2.01740, -1.32258]], "forces_ev_per_a": [[-0.1, -0.1, 0.0], [0.0, 0.1, 0.0], [0.0, -0.1, 0.0], [0.1, 0.0, 0.0], [-0.1, 0.0, 0.0], [0.1, -0.1, 0.0], [0.1, 0.2, 0.0], [0.1, -0.1, 0.0], [0.0, 0.1, 0.1], [0.0, 0.1, -0.1], [0.0, 0.2, -0.1], [-0.2, 0.0, 0.0], [0.0, -0.1, 0.1], [0.0, -0.1, -0.1], [-0.1, -0.1, 0.1]]}
{"formula": "C5H8N2", "method": "ωB97M-V/def2-TZVPD", "de_lowest_kj_mol": 319.2, "charge": 0, "smiles": "Cc1c[nH]c(N)c1", "max_force_ev_per_a": 2.354, "homo_lumo_gap_ev": 7.73, "molar_mass_g_mol": 96.1, "e_tot_ha": -304.7139, "species": ["C", "C", "C", "N", "C", "N", "C", "H", "H", "H", "H", "H", "H", "H", "H"], "coordinates": [[0.86056, -1.34229, -1.95678], [0.42079, -0.41012, -0.82611], [-0.11925, -0.99015, 0.27953], [-0.56407, -0.07595, 1.17288], [-0.47743, 1.22040, 0.81937], [-0.77239, 1.99085, 2.02630], [0.41952, 1.00159, -0.67047], [1.04743, -0.86766, -2.92429], [1.78066, -1.87875, -1.68429], [0.09979, -2.12104, -2.12138], [-0.38650, -2.01303, 0.42491], [-0.73277, -0.37917, 2.12300], [-1.24126, 2.88312, 2.09593], [-0.80084, 1.51280, 2.93566], [0.46577, 1.46941, -1.69428]], "forces_ev_per_a": [[0.0, 0.2, 0.0], [-0.3, -0.1, 0.5], [0.0, -0.7, 0.1], [0.0, -0.2, -0.3], [1.3, -1.0, -1.0], [0.8, 0.4, -0.9], [-1.8, 0.0, 1.5], [-0.1, 0.2, 0.2], [-0.2, 0.3, 0.0], [0.1, 0.3, 0.1], [0.2, -0.5, 0.2], [-0.4, 0.2, -0.2], [0.2, -0.3, -0.9], [0.3, 0.1, -1.1], [-0.3, 0.8, 1.8]]}